-- File --
No. 1
43
Properties=species:S:1:pos:R:3 method="wB97M-V/def2-TZVPD" total_charge=-1 homo_ha=-0.0769 spin_multiplicity=1 orbital_gap_ev=3.378
I 1.22430 -0.69873 0.94595
H -2.30853 -0.21477 -2.59834
C -6.83504 3.93580 -2.45538
Br 5.19884 2.21861 5.30357
H -3.03764 -2.03637 -2.59274
N -3.13838 -0.14690 0.45721
Br 9.83173 1.47869 2.68422
Br -7.36230 3.05373 -4.10713
H 7.14169 0.67640 5.03099
H -0.31329 -3.51122 -0.12646
H -2.19104 -3.64007 -0.28527
Br 7.95078 0.55903 0.23461
Br -4.95486 0.13834 -4.27998
H 9.37112 2.59369 0.49971
Br 5.78250 -0.65069 6.64928
H -4.78531 -0.80577 -0.80633
Br -7.70116 5.66550 -2.25002
C -1.19212 -1.66745 -1.14497
H -1.05974 -3.91437 -1.85836
Br -2.47895 1.13324 -6.08674
Br 7.35423 3.32707 1.77316
H -4.51869 2.35798 -5.33378
Br -0.58957 -3.21256 4.30328
O 1.50249 0.88358 -1.79304
H -5.75831 4.12329 -2.52260
C -2.57057 -1.17962 -1.94599
C 1.01588 -0.22229 -1.22360
C -3.61973 -0.69523 -0.73732
H 0.74193 -2.36720 -2.22523
H -3.94969 0.09466 1.08993
C 8.71782 2.06341 1.20044
C -1.21501 -3.29633 -0.87659
Br 2.32339 -4.32486 5.11726
C 6.06496 0.48891 5.09821
Br -3.11531 2.58942 -3.28332
C -3.85876 1.65285 -4.81771
Br -7.11750 2.79620 -0.90431
C 0.15150 -1.36076 -2.09222
H -0.23123 -0.92311 -3.11270
H 0.92284 -2.55066 6.17465
Br 1.94614 -1.22409 4.32519
C 1.12288 -2.79420 5.12598
Br 5.53770 -0.39316 3.44646

---

No. 2
35
Properties=species:S:1:pos:R:3 method="wB97M-V/def2-TZVPD" smiles="Cc1cc(NC(=O)CCCOc2ccc(Cl)cc2Cl)no1" homo_ha=-0.3190 spin_multiplicity=1 orbital_gap_ev=9.261
C -1.69557 3.33574 1.70161
H -0.52858 -0.45742 2.99784
C -1.40581 2.42096 0.57232
C -0.71539 -2.06443 -3.20202
H -1.70356 4.36540 1.35224
Cl 1.22179 1.70660 3.57054
C -0.80772 -0.57524 -2.90237
H 1.63759 -0.72415 -2.34563
H 2.81125 -0.08345 -0.61728
H -0.92088 3.24300 2.46213
N -1.31878 -0.31367 -1.65411
H -1.18302 -2.26635 -4.16580
H 0.84860 -3.54982 -3.19243
C 1.18111 0.60389 2.24375
O 0.95096 -2.05286 -0.91629
C 1.58806 -1.80213 -2.16000
H -1.71502 -1.07677 -1.12166
C 0.76867 -2.46517 -3.26916
C -1.92020 1.21030 0.21394
C 2.07361 -0.17532 0.16237
H 2.86737 1.47666 1.25929
O -0.45303 2.76956 -0.30675
H -1.21885 -2.64791 -2.43218
C 1.09463 -1.16153 0.08720
N -0.31767 1.80236 -1.24862
C -1.18895 0.86938 -0.95809
H -2.68993 0.64211 0.69049
C 2.11320 0.70718 1.22718
C 0.16574 -1.24136 1.13448
O -0.43193 0.27834 -3.66326
Cl -1.07923 -2.43446 1.04235
H 1.19295 -2.14659 -4.22106
H 2.60696 -2.21004 -2.14452
H -2.65587 3.08867 2.14384
C 0.20290 -0.37841 2.21007

---

No. 3
58
Properties=species:S:1:pos:R:3 method="wB97M-V/def2-TZVPD" total_charge=+1 homo_ha=-0.3652 spin_multiplicity=1 orbital_gap_ev=3.138
H -1.99822 -2.89071 0.25533
O -0.96556 -3.17206 1.89019
H -2.05180 -0.64198 0.33603
H 4.80292 4.95447 0.81864
Al 0.73244 -3.39224 2.53693
H -1.52919 -0.00926 3.87438
H 2.52779 -2.88765 0.94603
H 2.87330 -1.81076 3.37287
O 4.21203 4.48392 0.22230
H 3.99671 3.66814 0.68256
H 1.22517 -4.91156 2.34684
H 5.08586 1.59394 2.04837
H -0.71392 -0.12029 -1.45652
H 0.74812 -0.04295 -0.47950
H -2.77709 0.72465 -5.83616
Mg 1.59929 -2.82119 -0.45842
H 1.99897 0.34661 2.01199
C 3.79789 0.35597 0.81492
F -5.90985 1.65838 -1.75086
H 3.47619 0.41861 2.96303
H -0.86448 1.76089 2.60997
H -2.04862 -1.51079 3.15242
C 5.13076 1.06376 1.09478
H 0.26583 -0.62216 2.29867
C -0.69543 -0.27801 1.91330
C -2.29397 1.42641 -3.84715
C -0.15596 -0.61629 -0.66338
H -1.08483 1.18917 -5.59639
C 2.99278 -1.54816 2.32205
H 3.95746 -0.54094 0.19866
H -2.72903 0.03838 2.58831
C -1.82279 -0.46864 2.93031
C -2.11538 1.44037 -5.34772
Br 0.35963 2.22119 -1.53920
N 1.94365 -2.22515 1.47073
H 0.19903 -1.57706 -1.18126
F -6.92172 0.71112 -3.41787
H 5.31176 1.82195 0.33267
H 0.75261 -2.94033 4.04282
H 5.97790 0.37939 1.12799
F -6.14928 2.72143 -3.62923
H -1.16784 1.58109 0.87502
H -1.61602 2.12917 -3.37171
H -2.09771 0.43975 -3.42655
C -0.54459 1.24593 1.70492
O -4.44848 -0.21383 -3.88266
C -1.03045 -0.95518 0.57446
H -0.25368 -2.86756 0.02097
H 3.96619 -1.93003 2.00665
-- Brief --
Duplicate only the last part of the contents further above, starting with the line that has "-1.79304".
-- Result --
O 1.50249 0.88358 -1.79304
H -5.75831 4.12329 -2.52260
C -2.57057 -1.17962 -1.94599
C 1.01588 -0.22229 -1.22360
C -3.61973 -0.69523 -0.73732
H 0.74193 -2.36720 -2.22523
H -3.94969 0.09466 1.08993
C 8.71782 2.06341 1.20044
C -1.21501 -3.29633 -0.87659
Br 2.32339 -4.32486 5.11726
C 6.06496 0.48891 5.09821
Br -3.11531 2.58942 -3.28332
C -3.85876 1.65285 -4.81771
Br -7.11750 2.79620 -0.90431
C 0.15150 -1.36076 -2.09222
H -0.23123 -0.92311 -3.11270
H 0.92284 -2.55066 6.17465
Br 1.94614 -1.22409 4.32519
C 1.12288 -2.79420 5.12598
Br 5.53770 -0.39316 3.44646

---

No. 2
35
Properties=species:S:1:pos:R:3 method="wB97M-V/def2-TZVPD" smiles="Cc1cc(NC(=O)CCCOc2ccc(Cl)cc2Cl)no1" homo_ha=-0.3190 spin_multiplicity=1 orbital_gap_ev=9.261
C -1.69557 3.33574 1.70161
H -0.52858 -0.45742 2.99784
C -1.40581 2.42096 0.57232
C -0.71539 -2.06443 -3.20202
H -1.70356 4.36540 1.35224
Cl 1.22179 1.70660 3.57054
C -0.80772 -0.57524 -2.90237
H 1.63759 -0.72415 -2.34563
H 2.81125 -0.08345 -0.61728
H -0.92088 3.24300 2.46213
N -1.31878 -0.31367 -1.65411
H -1.18302 -2.26635 -4.16580
H 0.84860 -3.54982 -3.19243
C 1.18111 0.60389 2.24375
O 0.95096 -2.05286 -0.91629
C 1.58806 -1.80213 -2.16000
H -1.71502 -1.07677 -1.12166
C 0.76867 -2.46517 -3.26916
C -1.92020 1.21030 0.21394
C 2.07361 -0.17532 0.16237
H 2.86737 1.47666 1.25929
O -0.45303 2.76956 -0.30675
H -1.21885 -2.64791 -2.43218
C 1.09463 -1.16153 0.08720
N -0.31767 1.80236 -1.24862
C -1.18895 0.86938 -0.95809
H -2.68993 0.64211 0.69049
C 2.11320 0.70718 1.22718
C 0.16574 -1.24136 1.13448
O -0.43193 0.27834 -3.66326
Cl -1.07923 -2.43446 1.04235
H 1.19295 -2.14659 -4.22106
H 2.60696 -2.21004 -2.14452
H -2.65587 3.08867 2.14384
C 0.20290 -0.37841 2.21007

---

No. 3
58
Properties=species:S:1:pos:R:3 method="wB97M-V/def2-TZVPD" total_charge=+1 homo_ha=-0.3652 spin_multiplicity=1 orbital_gap_ev=3.138
H -1.99822 -2.89071 0.25533
O -0.96556 -3.17206 1.89019
H -2.05180 -0.64198 0.33603
H 4.80292 4.95447 0.81864
Al 0.73244 -3.39224 2.53693
H -1.52919 -0.00926 3.87438
H 2.52779 -2.88765 0.94603
H 2.87330 -1.81076 3.37287
O 4.21203 4.48392 0.22230
H 3.99671 3.66814 0.68256
H 1.22517 -4.91156 2.34684
H 5.08586 1.59394 2.04837
H -0.71392 -0.12029 -1.45652
H 0.74812 -0.04295 -0.47950
H -2.77709 0.72465 -5.83616
Mg 1.59929 -2.82119 -0.45842
H 1.99897 0.34661 2.01199
C 3.79789 0.35597 0.81492
F -5.90985 1.65838 -1.75086
H 3.47619 0.41861 2.96303
H -0.86448 1.76089 2.60997
H -2.04862 -1.51079 3.15242
C 5.13076 1.06376 1.09478
H 0.26583 -0.62216 2.29867
C -0.69543 -0.27801 1.91330
C -2.29397 1.42641 -3.84715
C -0.15596 -0.61629 -0.66338
H -1.08483 1.18917 -5.59639
C 2.99278 -1.54816 2.32205
H 3.95746 -0.54094 0.19866
H -2.72903 0.03838 2.58831
C -1.82279 -0.46864 2.93031
C -2.11538 1.44037 -5.34772
Br 0.35963 2.22119 -1.53920
N 1.94365 -2.22515 1.47073
H 0.19903 -1.57706 -1.18126
F -6.92172 0.71112 -3.41787
H 5.31176 1.82195 0.33267
H 0.75261 -2.94033 4.04282
H 5.97790 0.37939 1.12799
F -6.14928 2.72143 -3.62923
H -1.16784 1.58109 0.87502
H -1.61602 2.12917 -3.37171
H -2.09771 0.43975 -3.42655
C -0.54459 1.24593 1.70492
O -4.44848 -0.21383 -3.88266
C -1.03045 -0.95518 0.57446
H -0.25368 -2.86756 0.02097
H 3.96619 -1.93003 2.00665